Data =
(1)
This entry pairs a crystal structure of BAs5Pb6O20 with its calculated powder diffraction line list. Radiation: Cu Kα (weighted mean of Kα1 and Kα2). Structure: the GGA-PBE geometry in the Materials Project.
Neutral-atom scattering factors, no anomalous dispersion.

Main lines, by angle (5 to 70 degrees two-theta):
| d/Å | 2θ (°) | Rel. int. | index |
| --- | --- | --- | --- |
| 4.633 | 19.16 | 61 | 1 1 1 |
| 3.456 | 25.78 | 57 | 2 0 1 |
| 3.430 | 25.98 | 44 | 0 0 3 |
| 3.126 | 28.55 | 58 | 1 2 1 |
| 2.987 | 29.91 | 100 | 2 0 2 |
| 2.069 | 43.75 | 34 | 2 2 3 |

Atomic structure:
Cell lengths 7.3373, 7.3373, 10.2895 Å; angles 90.00, 90.00, 90.00 degrees
Space group P-4 (No. 81)
Inequivalent atoms, fractional coordinates:
1 B 0.0000 0.0000 0.0000 [1 per cell]
2 As 0.1833 0.2072 0.2146 [4 per cell]
3 As 0.5000 0.5000 0.5000 [1 per cell]
4 Pb 0.0000 0.5000 0.4968 [2 per cell]
5 Pb 0.2968 0.2980 0.8086 [4 per cell]
6 O 0.0174 0.2983 0.3126 [4 per cell]
7 O 0.0213 0.7102 0.7218 [4 per cell]
8 O 0.0456 0.1655 0.0760 [4 per cell]
9 O 0.3435 0.6315 0.4161 [4 per cell]
10 O 0.3450 0.3632 0.1674 [4 per cell]



(2)
This entry pairs a crystal structure of BAsPbO5 with its calculated powder diffraction line list. Radiation: Cu Kα (weighted mean of Kα1 and Kα2). Structure: the GGA-PBE geometry in the Materials Project.
Neutral-atom scattering factors, no anomalous dispersion.

Main lines, by angle (5 to 70 degrees two-theta):
| d/Å | 2θ (°) | Rel. int. | index |
| --- | --- | --- | --- |
| 4.683 | 18.95 | 39 | 1 0 1 |
| 3.633 | 24.50 | 100 | 1 1 0 |
| 3.146 | 28.37 | 35 | 2 0 0 |
| 3.063 | 29.16 | 90 | 0 1 2 |
| 2.341 | 38.46 | 38 | 2 0 2 |
| 1.968 | 46.13 | 68 | 2 1 2 |

Atomic structure:
Cell lengths 7.2658, 7.2658, 7.0125 Å; angles 90.00, 90.00, 120.00 degrees
Space group P3_1 (No. 144)
Inequivalent atoms, fractional coordinates:
1 B 0.1056 0.0934 0.0000 [3 per cell]
2 As 0.0018 0.4051 0.1448 [3 per cell]
3 Pb 0.0016 0.3977 0.6445 [3 per cell]
4 O 0.0494 0.0064 0.1918 [3 per cell]
5 O 0.1343 0.3179 0.9896 [3 per cell]
6 O 0.1566 0.5911 0.3072 [3 per cell]
7 O 0.3355 0.1532 0.9582 [3 per cell]
8 O 0.5393 0.3983 0.3231 [3 per cell]

Work order =
Write out the whole of the block earlier on unchanged.

Result =
(1)
This entry pairs a crystal structure of BAs5Pb6O20 with its calculated powder diffraction line list. Radiation: Cu Kα (weighted mean of Kα1 and Kα2). Structure: the GGA-PBE geometry in the Materials Project.
Neutral-atom scattering factors, no anomalous dispersion.

Main lines, by angle (5 to 70 degrees two-theta):
| d/Å | 2θ (°) | Rel. int. | index |
| --- | --- | --- | --- |
| 4.633 | 19.16 | 61 | 1 1 1 |
| 3.456 | 25.78 | 57 | 2 0 1 |
| 3.430 | 25.98 | 44 | 0 0 3 |
| 3.126 | 28.55 | 58 | 1 2 1 |
| 2.987 | 29.91 | 100 | 2 0 2 |
| 2.069 | 43.75 | 34 | 2 2 3 |

Atomic structure:
Cell lengths 7.3373, 7.3373, 10.2895 Å; angles 90.00, 90.00, 90.00 degrees
Space group P-4 (No. 81)
Inequivalent atoms, fractional coordinates:
1 B 0.0000 0.0000 0.0000 [1 per cell]
2 As 0.1833 0.2072 0.2146 [4 per cell]
3 As 0.5000 0.5000 0.5000 [1 per cell]
4 Pb 0.0000 0.5000 0.4968 [2 per cell]
5 Pb 0.2968 0.2980 0.8086 [4 per cell]
6 O 0.0174 0.2983 0.3126 [4 per cell]
7 O 0.0213 0.7102 0.7218 [4 per cell]
8 O 0.0456 0.1655 0.0760 [4 per cell]
9 O 0.3435 0.6315 0.4161 [4 per cell]
10 O 0.3450 0.3632 0.1674 [4 per cell]



(2)
This entry pairs a crystal structure of BAsPbO5 with its calculated powder diffraction line list. Radiation: Cu Kα (weighted mean of Kα1 and Kα2). Structure: the GGA-PBE geometry in the Materials Project.
Neutral-atom scattering factors, no anomalous dispersion.

Main lines, by angle (5 to 70 degrees two-theta):
| d/Å | 2θ (°) | Rel. int. | index |
| --- | --- | --- | --- |
| 4.683 | 18.95 | 39 | 1 0 1 |
| 3.633 | 24.50 | 100 | 1 1 0 |
| 3.146 | 28.37 | 35 | 2 0 0 |
| 3.063 | 29.16 | 90 | 0 1 2 |
| 2.341 | 38.46 | 38 | 2 0 2 |
| 1.968 | 46.13 | 68 | 2 1 2 |

Atomic structure:
Cell lengths 7.2658, 7.2658, 7.0125 Å; angles 90.00, 90.00, 120.00 degrees
Space group P3_1 (No. 144)
Inequivalent atoms, fractional coordinates:
1 B 0.1056 0.0934 0.0000 [3 per cell]
2 As 0.0018 0.4051 0.1448 [3 per cell]
3 Pb 0.0016 0.3977 0.6445 [3 per cell]
4 O 0.0494 0.0064 0.1918 [3 per cell]
5 O 0.1343 0.3179 0.9896 [3 per cell]
6 O 0.1566 0.5911 0.3072 [3 per cell]
7 O 0.3355 0.1532 0.9582 [3 per cell]
8 O 0.5393 0.3983 0.3231 [3 per cell]